EAD Roundtable Meeting Minutes 2005

+++
(1)
DFT (GGA-PBE) results for a geometry-optimized SmThPd2 structure.

POSCAR file:
```
SmThPd2
1.0
-3.757 0.779 -1.619
-2.935 -2.954 0.034
-4.419 1.520 5.628
Pd Sm Th
2 1 1
Direct
0.748 0.748 0.756
0.252 0.252 0.244
0.500 0.500 0.500
0.000 0.000 0.000
```

Summary:
N(E_F) ... 0.47 states/eV/atom
ΔE to the lowest computed polymorph ... 95 meV per atom
Symmetry ... No. 166


(2)
DFT (GGA-PBE) results for a geometry-optimized MgTi2Al structure.

POSCAR file:
```
MgTi2Al
1.0
-1.516 2.568 1.271
1.216 -0.725 2.916
5.310 3.766 -1.277
Mg Al Ti
1 1 2
Direct
0.500 0.500 0.500
0.500 0.500 0.000
0.000 0.000 0.761
0.000 0.000 0.239
```

Summary:
N(E_F) ... 0.93 states/eV/atom
Symmetry ... No. 123


(3)
DFT (GGA-PBE) results for a geometry-optimized Li4TlAs2 structure.

POSCAR file:
```
Li4TlAs2
1.0
3.716 0.000 -0.931
-0.233 3.708 -0.931
0.450 0.479 9.671
Li Tl As
4 1 2
Direct
0.146 0.146 0.292
0.854 0.854 0.708
0.750 0.250 0.500
0.250 0.750 0.500
0.000 0.000 0.000
0.649 0.649 0.298
0.351 0.351 0.702
```

Summary:
N(E_F) ... 0.40 states/eV/atom
Symmetry ... No. 139


(4)
DFT (GGA-PBE) results for a geometry-optimized MgZn3Fe structure.

POSCAR file:
```
MgZn3Fe
1.0
-4.320 -1.535 -0.592
0.416 -2.629 3.780
-1.592 3.479 2.595
Mg Zn Fe
1 3 1
Direct
0.500 0.500 0.500
0.000 0.500 0.000
0.000 0.000 0.500
0.500 0.000 0.000
0.000 0.000 0.000
```

Summary:
N(E_F) ... 0.62 states/eV/atom
ΔE to the lowest computed polymorph ... 0 meV per atom
Symmetry ... No. 221


no.,electronic total energy (eV per cell)
1,-25.36
2,-21.22
3,-21.63
4,-11.72
+++
• The data records stop here:

Thursday, August 18, 2005, New Orleans

┌──
No. 1
{
  "formula": "Pr3Y3Te2Ir",
  "functional": "GGA-PBE",
  "state": "relaxed",
  "e_above_lowest_polymorph_mev_per_atom": 126.1,
  "space_group": "P-62m (189)",
  "crystal_system": "hexagonal",
  "lattice_angstrom": [[8.633, 0.000, 0.000], [-4.317, 7.477, 0.000], [0.000, 0.000, 3.977]],
  "species": ["Pr", "Pr", "Pr", "Y", "Y", "Y", "Te", "Te", "Ir"],
  "frac_coords": [[0.000, 0.753, 0.000], [0.247, 0.247, 0.000], [0.753, 0.000, 0.000], [0.000, 0.404, 0.500], [0.404, 0.000, 0.500], [0.596, 0.596, 0.500], [0.333, 0.667, 0.000], [0.667, 0.333, 0.000], [0.000, 0.000, 0.500]]
}


No. 2
{
  "formula": "MgCuBi",
  "functional": "GGA-PBE",
  "state": "relaxed",
  "space_group": "Pnma (62)",
  "crystal_system": "orthorhombic",
  "total_energy_ev_per_atom": -3.05,
  "lattice_angstrom": [[7.324, 0.000, 0.000], [0.000, 3.328, 0.000], [0.000, 0.000, 11.008]],
  "species": ["Mg", "Mg", "Mg", "Mg", "Cu", "Cu", "Cu", "Cu", "Bi", "Bi", "Bi", "Bi"],
  "frac_coords": [[0.241, 0.250, 0.123], [0.259, 0.750, 0.623], [0.741, 0.250, 0.377], [0.759, 0.750, 0.877], [0.102, 0.250, 0.453], [0.398, 0.750, 0.953], [0.602, 0.250, 0.047], [0.898, 0.750, 0.547], [0.125, 0.250, 0.843], [0.375, 0.750, 0.343], [0.625, 0.250, 0.657], [0.875, 0.750, 0.157]]
}


No. 3
{
  "formula": "KSmF4",
  "functional": "GGA-PBE",
  "state": "relaxed",
  "space_group": "Pnma (62)",
  "crystal_system": "orthorhombic",
  "total_energy_ev_per_atom": -5.90,
  "lattice_angstrom": [[6.084, 0.000, 0.000], [0.000, 3.631, 0.000], [0.000, 0.000, 15.041]],
  "species": ["K", "K", "K", "K", "Sm", "Sm", "Sm", "Sm", "F", "F", "F", "F", "F", "F", "F", "F", "F", "F", "F", "F", "F", "F", "F", "F"],
  "frac_coords": [[0.227, 0.250, 0.202], [0.273, 0.750, 0.702], [0.727, 0.250, 0.298], [0.773, 0.750, 0.798], [0.249, 0.750, 0.439], [0.251, 0.250, 0.939], [0.749, 0.750, 0.061], [0.751, 0.250, 0.561], [0.006, 0.250, 0.060], [0.086, 0.250, 0.805], [0.104, 0.250, 0.365], [0.139, 0.250, 0.540], [0.361, 0.750, 0.040], [0.396, 0.750, 0.865], [0.414, 0.750, 0.305], [0.494, 0.750, 0.560], [0.506, 0.250, 0.440], [0.586, 0.250, 0.695], [0.604, 0.250, 0.135], [0.639, 0.250, 0.960], [0.861, 0.750, 0.460], [0.896, 0.750, 0.635], [0.914, 0.750, 0.195], [0.994, 0.750, 0.940]]
}
└──
== The article goes on ==

  1. Kris Kiesling (University of Texas at Austin) reported on the EAD Working Group. Within the last few months the group has had two major activities. Daniel Pitti (University of Virginia) has been working on the EAD schema and an alpha version is due soon. Preliminary results from the EAD Tools Survey conducted by Katherine Wisser (Duke University) were released. Results show that numerous archivists are using the EAD Cookbook, but there are still needs that were identified through the survey: a tools portal, more stylesheets, an EAD-to-MARC converter, and application guidelines for EAD Version 2002. Kiesling commented that the guidelines are in the works. The Working Group will continue to respond to results of the survey.
  2. Ben Primer (Princeton University), SAA Council Liaison to the EAD Roundtable, gave a brief overview of Council’s activities and priorities for the year. He also announced a recent decision that groups can endorse a maximum of two sessions for future SAA conferences. [This will not apply to the 2006 meeting because it is a joint conference.]
  3. Michael Fox (Minnesota Historical Society) challenged a member of the Roundtable to work on a proposal regarding the display of online finding aids and search results. He wonders is a web site is a better model than what is current common practice.
  4. Merrilee Proffit (RLG) discussed two major EAD-related activities at RLG. One is that the open sources version of the RLG EAD Report Card has been released. The product will help archivists validate their finding aids against the RLG Guidelines. The new version can be downloaded and mounted on archivists’ work stations or on their own web server. It can also be adapted to work with a repository’s own guidelines. Second, RLG is in the midst of a redesign of Archival Resources called Archive Grid. She asked members to evaluate the beta version of the site and to make recommendations for improvements.
  5. Brad Westbrook (University of California, San Diego) gave a brief update on the progress of the Archivists’ Toolkit Project (funded by the Mellon Foundation). They are into the second year of the project whose goal is to build a database for core archival functions with outputs into EAD, EAC, METS. During the first year they drafted the specifications and are now building the database. The project website is www.archiviststoolkit.org. Comments are encouraged. He and other team members are giving a more detailed presentation on Saturday.
  6. Stephen Yearl (Yale University), web master for the EAD Roundtable, discussed the work on the EAD web pages and our plans to build a dynamic web site, hopefully during the coming year. Our work will depend on SAA web activities.

Featured Speaker: Clay Redding

Clay gave a presentation regarding his work with JPEG 2000 and EAD.

Election of Vice-Chair for 2005-06

Prior to Redding’s presentation, the two nominees for Vice Chair were introduced by McCrory and each briefly commented on their thoughts about the Roundtable’s work in the coming year. Lara Friedman-Shedlov (University of Minnesota) and Michael Rush (Yale University) are the two nominees. Rush was elected to the position.

New Business and Announcements

Unrelated to this entry: materials data:
- - -
# LaAg3Sn2 (PBE, relaxed)
# Energy, eV per atom: -3.88
data_LaAg3Sn2
_cell_length_a 16.926
_cell_length_b 4.801
_cell_length_c 8.130
_cell_angle_alpha 90.00
_cell_angle_beta 118.70
_cell_angle_gamma 90.00
_symmetry_space_group_name_H-M 'C 1 2/m 1'
_symmetry_Int_Tables_number 12
loop_
_symmetry_equiv_pos_as_xyz
'x,y,z'
'-x,-y,-z'
'-x,y,-z'
'x,-y,z'
'x+1/2,y+1/2,z'
'-x+1/2,-y+1/2,-z'
'-x+1/2,y+1/2,-z'
'x+1/2,-y+1/2,z'
loop_
_atom_site_label
_atom_site_type_symbol
_atom_site_fract_x
_atom_site_fract_y
_atom_site_fract_z
_atom_site_occupancy
La1 La 0.135 0.000 0.135 1
Ag1 Ag 0.001 0.000 0.334 1
Ag2 Ag 0.182 0.500 0.470 1
Ag3 Ag 0.182 0.500 0.894 1
Sn1 Sn 0.000 0.500 0.176 1
Sn2 Sn 0.184 0.000 0.684 1



# NaGaF3 (PBE, relaxed)
# Formation energy (no corrections), kJ/mol of formula units: -1217.1
data_NaGaF3
_cell_length_a 13.171
_cell_length_b 3.864
_cell_length_c 6.697
_cell_angle_alpha 90.00
_cell_angle_beta 120.41
_cell_angle_gamma 90.00
_symmetry_space_group_name_H-M 'C 1 2/m 1'
_symmetry_Int_Tables_number 12
loop_
_symmetry_equiv_pos_as_xyz
'x,y,z'
'-x,-y,-z'
'-x,y,-z'
'x,-y,z'
'x+1/2,y+1/2,z'
'-x+1/2,-y+1/2,-z'
'-x+1/2,y+1/2,-z'
'x+1/2,-y+1/2,z'
loop_
_atom_site_label
_atom_site_type_symbol
_atom_site_fract_x
_atom_site_fract_y
_atom_site_fract_z
_atom_site_occupancy
Na1 Na 0.187 0.000 0.186 1
Ga1 Ga 0.000 0.500 0.321 1
F1 F 0.000 0.000 0.222 1
F2 F 0.153 0.500 0.363 1
F3 F 0.153 0.500 0.941 1



# CaCoW2 (PBE, relaxed)
# Energy, eV per atom: -7.99
data_CaCoW2
_cell_length_a 3.204
_cell_length_b 3.204
_cell_length_c 7.248
_cell_angle_alpha 90.00
_cell_angle_beta 90.00
_cell_angle_gamma 90.00
_symmetry_space_group_name_H-M 'P 4/m m m'
_symmetry_Int_Tables_number 123
_symmetry_space_group_name_Hall '-P 4 2'
loop_
_atom_site_label
_atom_site_type_symbol
_atom_site_fract_x
_atom_site_fract_y
_atom_site_fract_z
_atom_site_occupancy
Ca1 Ca 0.000 0.000 0.000 1
Co1 Co 0.000 0.000 0.500 1
W1 W 0.500 0.500 0.334 1



# CeScTc2 (PBE, relaxed)
# Energy, eV per atom: -8.39
data_CeScTc2
_cell_length_a 6.653
_cell_length_b 6.653
_cell_length_c 6.653
_cell_angle_alpha 90.00
_cell_angle_beta 90.00
_cell_angle_gamma 90.00
_symmetry_space_group_name_H-M 'F m -3 m'
_symmetry_Int_Tables_number 225
_symmetry_space_group_name_Hall '-F 4 2 3'
loop_
_atom_site_label
_atom_site_type_symbol
_atom_site_fract_x
_atom_site_fract_y
_atom_site_fract_z
_atom_site_occupancy
Ce1 Ce 0.000 0.000 0.000 1
Sc1 Sc 0.000 0.000 0.500 1
Tc1 Tc 0.250 0.250 0.250 1



# Ac2Nd2Co (PBE, relaxed)
# Energy, eV per atom: -4.83
data_Ac2Nd2Co
_cell_length_a 5.091
_cell_length_b 5.091
_cell_length_c 25.883
_cell_angle_alpha 90.00
_cell_angle_beta 90.00
_cell_angle_gamma 90.00
_symmetry_space_group_name_H-M 'I 41/a m d'
_symmetry_Int_Tables_number 141
loop_
_symmetry_equiv_pos_as_xyz
'x,y,z'
'-x,-y,-z'
'-y+1/4,x+3/4,z+1/4'
'y+1/4,-x+3/4,-z+1/4'
'-x+1/2,-y,z+1/2'
'x+1/2,y,-z+1/2'
'y+1/4,-x+1/4,z+3/4'
'-y+1/4,x+1/4,-z+3/4'
'x,-y,-z'
'-x,y,z'
'-y+1/4,-x+1/4,-z+3/4'
'y+1/4,x+1/4,z+3/4'
- - -
The entry goes on:

McCrory discussed the concept of providing active content for the EAD Help Pages, an issue being addressed by Roundtable leaders during this past year. The goal will be to provide more content for archivists, especially providing the opportunity for archivists to contribute their stylesheets, transfer codes, etc. to an interactive site without the webmaster having to be involved. One technology that might be appropriate is Wiki. With the proposed changes in SAA’s web site, our interest is timely, but it won’t happen immediately. SAA Webmaster hopes to roll out new technologies early in 2006, so we hope to identify our core needs to present to SAA as they do their planning in the next few months. She asked Roundtable members to give input regarding the types of information they need and ideal technologies.

McCrory then turned over the meeting to the new Chair, Leslie Czechowski (University of Pittsburgh), who welcomed Michael Rush as the new Vice Chair and closed the meeting at 5:30 pm.